## Excerpt
-- begin --
The following is a quantum chemistry calculation of a 6-piece molecular cluster, C18H24O18 overall in a non-equilibrium geometry, from the OMol25 dataset.

Output
* energy relative to the best compared isomer or geometry (same formula, charge and spin): 114.1 kJ/mol
* orbital gap: 10.123 eV
* electronic energy: -55909.294 eV

```
60
Properties=species:S:1:pos:R:3:mulliken_charge:R:1
O -16.94119 -19.10408 -15.46340 -0.5366
C -17.96828 -19.42650 -14.96052 0.6014
O -18.57120 -18.72898 -13.97973 -0.3842
C -19.44178 -19.65278 -13.30988 -0.1066
C -19.94981 -20.40144 -14.51029 -0.0151
O -18.77800 -20.45673 -15.34171 -0.3817
H -18.94648 -20.35871 -12.63701 0.1551
H -20.22609 -19.19500 -12.71675 0.3665
H -20.77866 -19.93318 -15.04350 0.1846
H -20.20145 -21.44255 -14.31214 0.1203
O -22.19332 -20.67823 -12.68464 -0.5875
C -22.30472 -21.84016 -12.43539 0.7050
O -22.30069 -22.81193 -13.36135 -0.3740
C -22.36800 -24.05914 -12.69007 -0.1548
C -23.03054 -23.70529 -11.36116 -0.1931
O -22.57549 -22.36640 -11.22853 -0.3048
H -22.98785 -24.83593 -13.14290 0.3569
H -21.34878 -24.41366 -12.55212 0.1872
H -22.64179 -24.35938 -10.58047 0.0227
H -24.11595 -23.70985 -11.23318 0.3658
O -19.70263 -22.39337 -11.31641 -0.4248
C -19.45690 -23.12651 -10.41752 0.4889
O -20.19622 -24.20428 -10.10199 -0.1101
C -19.39473 -25.05630 -9.29694 -0.4905
C -18.49847 -24.02738 -8.57930 0.0368
O -18.41305 -23.01083 -9.57910 -0.4343
H -19.94100 -25.49918 -8.45582 0.2764
H -18.97913 -25.88498 -9.86709 0.2484
H -17.57832 -24.60920 -8.51567 0.2277
H -18.94422 -23.57107 -7.70089 0.1209
O -23.54372 -24.01868 -7.93065 -0.5372
C -22.90685 -24.23499 -6.93054 0.6781
O -23.33930 -24.91637 -5.88615 -0.3519
C -22.43010 -24.79536 -4.75146 -0.3333
C -21.22295 -24.10204 -5.41393 -0.2963
O -21.72198 -23.65355 -6.65085 -0.2625
H -22.99057 -24.08651 -4.14553 0.2882
H -22.20739 -25.77879 -4.35670 0.2778
H -20.37996 -24.77053 -5.60541 0.2658
H -20.91994 -23.27857 -4.76653 0.2937
O -18.87239 -28.14933 -10.99241 -0.5277
C -19.19383 -28.36542 -12.11314 0.6572
O -18.76583 -27.79941 -13.25810 -0.3060
C -19.19703 -28.61519 -14.34981 -0.3405
C -20.41840 -29.31436 -13.75512 -0.3281
O -19.98804 -29.46782 -12.40849 -0.3320
H -19.57368 -28.00757 -15.17478 0.2970
H -18.44186 -29.27920 -14.76119 0.2977
H -20.53889 -30.25564 -14.28528 0.3120
H -21.29420 -28.66751 -13.76921 0.2580
O -16.34622 -26.38914 -5.84164 -0.5108
C -16.03945 -25.26549 -5.66769 0.7165
O -15.64085 -24.40111 -6.62073 -0.3309
C -15.26390 -23.16586 -6.04335 -0.2955
C -15.37503 -23.39615 -4.51979 -0.2420
O -15.93334 -24.69848 -4.42442 -0.3511
H -14.25481 -22.94861 -6.39785 0.2687
H -15.95353 -22.40087 -6.40348 0.2385
H -16.04434 -22.58041 -4.24354 0.2509
H -14.43570 -23.29956 -3.98545 0.2785
```
-- stop --

## Job
Please say how many lines of the listing further up hold the word "calculation", as a bare number.

## Done
1